예제 #1
def get_installed_and_missing_repository_dependencies_for_new_install( trans, repo_info_tuple ):
    Parse the received repository_dependencies dictionary that is associated with a repository being installed into Galaxy for the first time
    and attempt to determine repository dependencies that are already installed and those that are not.
    missing_repository_dependencies = {}
    installed_repository_dependencies = {}
    missing_rd_tups = []
    installed_rd_tups = []
    description, repository_clone_url, changeset_revision, ctx_rev, repository_owner, repository_dependencies, installed_td = \
        suc.get_repo_info_tuple_contents( repo_info_tuple )
    if repository_dependencies:
        description = repository_dependencies[ 'description' ]
        root_key = repository_dependencies[ 'root_key' ]
        # The repository dependencies container will include only the immediate repository dependencies of this repository, so the container will be
        # only a single level in depth.
        for key, rd_tups in repository_dependencies.items():
            if key in [ 'description', 'root_key' ]:
            for rd_tup in rd_tups:
                tool_shed, name, owner, changeset_revision, prior_installation_required = suc.parse_repository_dependency_tuple( rd_tup )
                # Updates to installed repository revisions may have occurred, so make sure to locate the appropriate repository revision if one exists.
                # We need to create a temporary repo_info_tuple that includes the correct repository owner which we get from the current rd_tup.  The current
                # tuple looks like: ( description, repository_clone_url, changeset_revision, ctx_rev, repository_owner, repository_dependencies, installed_td )
                tmp_clone_url = suc.generate_clone_url_from_repo_info_tup( rd_tup )
                tmp_repo_info_tuple = ( None, tmp_clone_url, changeset_revision, None, owner, None, None )
                repository, current_changeset_revision = suc.repository_was_previously_installed( trans, tool_shed, name, tmp_repo_info_tuple )
                if repository:
                    new_rd_tup = [ tool_shed, name, owner, changeset_revision, str( prior_installation_required ), repository.id, repository.status ]
                    if repository.status == trans.model.ToolShedRepository.installation_status.INSTALLED:
                        if new_rd_tup not in installed_rd_tups:
                            installed_rd_tups.append( new_rd_tup )
                        if new_rd_tup not in missing_rd_tups:
                            missing_rd_tups.append( new_rd_tup )
                    new_rd_tup = [ tool_shed, name, owner, changeset_revision, str( prior_installation_required ), None, 'Never installed' ]
                    if new_rd_tup not in missing_rd_tups:
                        missing_rd_tups.append( new_rd_tup )
    if installed_rd_tups:
        installed_repository_dependencies[ 'root_key' ] = root_key
        installed_repository_dependencies[ root_key ] = installed_rd_tups
        installed_repository_dependencies[ 'description' ] = description
    if missing_rd_tups:
        missing_repository_dependencies[ 'root_key' ] = root_key
        missing_repository_dependencies[ root_key ] = missing_rd_tups
        missing_repository_dependencies[ 'description' ] = description
    return installed_repository_dependencies, missing_repository_dependencies
def get_installed_and_missing_repository_dependencies_for_new_install( trans, repo_info_tuple ):
    Parse the received repository_dependencies dictionary that is associated with a repository being installed into Galaxy for the first time
    and attempt to determine repository dependencies that are already installed and those that are not.
    missing_repository_dependencies = {}
    installed_repository_dependencies = {}
    missing_rd_tups = []
    installed_rd_tups = []
    description, repository_clone_url, changeset_revision, ctx_rev, repository_owner, repository_dependencies, tool_dependencies = \
        suc.get_repo_info_tuple_contents( repo_info_tuple )
    if repository_dependencies:
        description = repository_dependencies[ 'description' ]
        root_key = repository_dependencies[ 'root_key' ]
        # The repository dependencies container will include only the immediate repository dependencies of this repository, so the container will be
        # only a single level in depth.
        for key, rd_tups in repository_dependencies.items():
            if key in [ 'description', 'root_key' ]:
            for rd_tup in rd_tups:
                tool_shed, name, owner, changeset_revision, prior_installation_required, only_if_compiling_contained_td = \
                    common_util.parse_repository_dependency_tuple( rd_tup )
                # Updates to installed repository revisions may have occurred, so make sure to locate the appropriate repository revision if one exists.
                # We need to create a temporary repo_info_tuple that includes the correct repository owner which we get from the current rd_tup.  The current
                # tuple looks like: ( description, repository_clone_url, changeset_revision, ctx_rev, repository_owner, repository_dependencies, installed_td )
                tmp_clone_url = suc.generate_clone_url_from_repo_info_tup( rd_tup )
                tmp_repo_info_tuple = ( None, tmp_clone_url, changeset_revision, None, owner, None, None )
                repository, installed_changeset_revision = suc.repository_was_previously_installed( trans, tool_shed, name, tmp_repo_info_tuple )
                if repository:
                    new_rd_tup = [ tool_shed,
                                  repository.status ]
                    if repository.status == trans.install_model.ToolShedRepository.installation_status.INSTALLED:
                        if new_rd_tup not in installed_rd_tups:
                            installed_rd_tups.append( new_rd_tup )
                        # A repository dependency that is not installed will not be considered missing if it's value for only_if_compiling_contained_td is
                        # True  This is because this type of repository dependency will only be considered at the time that the specified tool dependency
**Misplaced data records:**
____________
1.
Molecular formula: C8H10O2
Method: DFT, ωB97M-V/def2-TZVPD

Last column: natural (NBO) charge in e.
Positions of all 20 atoms, in Å:
C: 0.3032 -2.0578 1.2233  -0.595
C: 1.2987 -0.9823 0.6272  -0.438
C: 0.4331 0.0603 -0.0235  -0.155
C: 0.0117 -0.1925 -1.3676  0.368
O: 0.3082 -1.2730 -2.0282  -0.652
C: -1.0125 0.7903 -1.8063  -0.317
C: -1.4257 1.8489 -1.0345  -0.194
C: -0.8422 2.1180 0.2001  -0.330
C: 0.0663 1.1998 0.6423  0.322
O: 0.6946 1.1118 1.9156  -0.716
H: 1.0255 -3.0418 1.3420  0.199
H: -0.6236 -2.3388 0.5564  0.204
H: -0.0711 -1.6876 2.1721  0.207
H: 1.9942 -0.9013 1.5445  0.242
H: 2.0662 -1.5090 -0.0047  0.219
H: -0.1251 -1.3251 -2.9517  0.499
H: -1.4639 0.6516 -2.8513  0.199
H: -2.1263 2.5771 -1.5267  0.221
H: -0.8687 3.1817 0.6485  0.225
H: 0.3574 1.7696 2.7224  0.493

Gap between HOMO and LUMO in hartree: 0.3252
Lowest unoccupied orbital energy in eV: 0.6
Strongest force on any atom in eV/A: 6.454
SMILES string: CCc1c(O)cccc1O
Energy above the lowest of the compared OMol25 structures with the same formula, charge and spin in kJ/mol: 281.62

=====

2.
Molecular formula: C8H10O2
Method: DFT, ωB97M-V/def2-TZVPD

Last column: natural (NBO) charge in e.
Positions of all 20 atoms, in Å:
C: -0.4470 0.3704 -0.8592  -0.210
C: 2.2619 -1.3108 -1.0416  0.373
C: 3.1135 0.2730 0.3294  0.783
C: -1.3945 -0.0891 -0.0809  0.049
C: 1.0580 -0.0107 -0.8330  -0.370
C: 1.6151 0.5672 0.4292  -0.541
C: -2.8284 0.3597 -0.4241  -0.631
C: -1.2056 -1.0607 1.0155  -0.663
O: 3.9725 0.8877 0.8596  -0.487
O: 3.3337 -0.8625 -0.5255  -0.505
H: 1.5429 0.6835 -1.6646  0.202
H: -0.6372 1.2468 -1.3617  0.200
H: 1.2007 -0.2645 1.1536  0.232
H: 1.3523 1.6063 0.5986  0.256
H: -2.7579 1.4008 -0.7563  0.217
H: -3.3260 -0.3239 -1.0809  0.225
H: -3.3865 0.4589 0.5342  0.201
H: -2.1623 -1.2952 1.3777  0.221
H: -0.7628 -1.9458 0.5650  0.232
H: -0.5423 -0.6912 1.7648  0.218

Gap between HOMO and LUMO in hartree: 0.3136
Lowest unoccupied orbital energy in eV: 0.1
Strongest force on any atom in eV/A: 3.640
Energy above the lowest of the compared OMol25 structures with the same formula, charge and spin in kJ/mol: 560.32

=====

3.
Molecular formula: C8H10O3
Method: DFT, ωB97M-V/def2-TZVPD

Last column: natural (NBO) charge in e.
Positions of all 21 atoms, in Å:
C: -1.4662 0.8222 1.0949  -0.225
C: -1.1950 -0.8167 -0.7042  -0.309
C: -0.1412 1.0957 1.0806  -0.180
C: 0.3347 -0.6483 -0.5890  0.064
C: 0.7399 -2.8669 -0.0531  0.109
C: -1.9806 -0.0458 0.0359  0.288
C: 0.7881 0.7167 -0.0635  0.175
____________
                        # is being installed, and even then only if the compiled binary of the tool dependency could not be installed due to the unsupported
                        # installation environment.
                        if not util.asbool( only_if_compiling_contained_td ):
                            if new_rd_tup not in missing_rd_tups:
                                missing_rd_tups.append( new_rd_tup )
                    new_rd_tup = [ tool_shed,
                                  'Never installed' ]
                    if not util.asbool( only_if_compiling_contained_td ):
                        # A repository dependency that is not installed will not be considered missing if it's value for only_if_compiling_contained_td is
                        # True - see above...
                        if new_rd_tup not in missing_rd_tups:
                            missing_rd_tups.append( new_rd_tup )
    if installed_rd_tups:
        installed_repository_dependencies[ 'root_key' ] = root_key
        installed_repository_dependencies[ root_key ] = installed_rd_tups
        installed_repository_dependencies[ 'description' ] = description
    if missing_rd_tups:
        missing_repository_dependencies[ 'root_key' ] = root_key
        missing_repository_dependencies[ root_key ] = missing_rd_tups
        missing_repository_dependencies[ 'description' ] = description
    return installed_repository_dependencies, missing_repository_dependencies